Activity =
The reader should find the line underneath that holds "0.3918", then reproduce that line and all lines after it there.
File =
- - -
For Y2Er3S6, DFT lattice parameters and positions (PBE) gives the computed PXRD pattern in this record (copper Kα).

Peak list (10 most intense, 15° ≤ 2θ ≤ 90°, by intensity)
| 2θ/deg | I/Imax |
| --- | --- |
| 32.65 | 100 |
| 28.20 | 42 |
| 46.78 | 36 |
| 46.90 | 35 |
| 26.94 | 20 |
| 58.32 | 18 |
| 55.58 | 16 |
| 77.79 | 16 |
| 77.97 | 15 |
| 28.10 | 15 |

Structural model:
```
data_Y2Er3S6
_space_group_name_H-M_alt 'C 1 2/m 1'
_space_group_IT_number 12
_space_group_name_Hall '-C 2y'
_cell_length_a 6.7352
_cell_length_b 11.6195
_cell_length_c 6.7124
_cell_angle_alpha 90.00
_cell_angle_beta 109.48
_cell_angle_gamma 90.00
loop_
_atom_site_label
_atom_site_type_symbol
_atom_site_fract_x
_atom_site_fract_y
_atom_site_fract_z
Y1 Y 0.0000 0.1654 0.0000
Er1 Er 0.0000 0.0000 0.5000
Er2 Er 0.0000 0.3368 0.5000
S1 S 0.2477 0.5000 0.7501
S2 S 0.2487 0.1665 0.7451
```

For YEr2S2, DFT lattice parameters and positions (PBE) gives the computed PXRD pattern in this record (copper Kα).

Peak list (10 most intense, 15° ≤ 2θ ≤ 90°, by intensity)
| 2θ/deg | I/Imax |
| --- | --- |
| 31.43 | 100 |
| 47.92 | 38 |
| 29.94 | 34 |
| 27.85 | 26 |
| 78.84 | 25 |
| 28.25 | 24 |
| 42.01 | 24 |
| 35.12 | 22 |
| 56.56 | 22 |
| 58.44 | 21 |

Structural model:
```
data_YEr2S2
_space_group_name_H-M_alt 'R -3 m'
_space_group_IT_number 166
_space_group_name_Hall '-R 3 2"'
_cell_length_a 3.7966
_cell_length_b 3.7966
_cell_length_c 28.4286
_cell_angle_alpha 90.00
_cell_angle_beta 90.00
_cell_angle_gamma 120.00
loop_
_atom_site_label
_atom_site_type_symbol
_atom_site_fract_x
_atom_site_fract_y
_atom_site_fract_z
Y1 Y 0.0000 0.0000 0.0000
Er1 Er 0.0000 0.0000 0.2158
S1 S 0.0000 0.0000 0.3918
```

For Y3Er2S4, DFT lattice parameters and positions (PBE) gives the computed PXRD pattern in this record (copper Kα).

Peak list (10 most intense, 15° ≤ 2θ ≤ 90°, by intensity)
| 2θ/deg | I/Imax |
| --- | --- |
| 31.75 | 100 |
| 29.08 | 40 |
| 47.29 | 37 |
| 78.05 | 29 |
| 58.08 | 23 |
| 43.68 | 22 |
| 28.09 | 20 |
| 55.91 | 19 |
| 27.37 | 18 |
| 48.55 | 17 |

Structural model:
```
data_Y3Er2S4
_space_group_name_H-M_alt 'P -3 m 1'
_space_group_IT_number 164
_space_group_name_Hall '-P 3 2"'
_cell_length_a 3.8444
_cell_length_b 3.8444
_cell_length_c 15.8844
_cell_angle_alpha 90.00
_cell_angle_beta 90.00
_cell_angle_gamma 120.00
loop_
_atom_site_label
_atom_site_type_symbol
_atom_site_fract_x
_atom_site_fract_y
_atom_site_fract_z
Y1 Y 0.0000 0.0000 0.0000
Y2 Y 0.3333 0.6667 0.5906
Er1 Er 0.3333 0.6667 0.2052
S1 S 0.0000 0.0000 0.3034
S2 S 0.3333 0.6667 0.8957
```

For Er7ZnS5, DFT lattice parameters and positions (PBE) gives the computed PXRD pattern in this record (copper Kα).

Peak list (10 most intense, 15° ≤ 2θ ≤ 90°, by intensity)
| 2θ/deg | I/Imax |
| --- | --- |
| 32.27 | 100 |
| 47.04 | 86 |
| 33.44 | 66 |
| 28.65 | 64 |
| 30.43 | 58 |
| 30.45 | 57 |
| 57.07 | 39 |
| 30.95 | 29 |
| 28.28 | 29 |
| 46.25 | 27 |

Structural model:
```
data_Er7ZnS5
_space_group_name_H-M_alt 'C 1 2/m 1'
_space_group_IT_number 12
_space_group_name_Hall '-C 2y'
_cell_length_a 12.7400
_cell_length_b 3.8631
_cell_length_c 23.1619
_cell_angle_alpha 90.00
_cell_angle_beta 90.04
_cell_angle_gamma 90.00
loop_
_atom_site_label
_atom_site_type_symbol
_atom_site_fract_x
_atom_site_fract_y
_atom_site_fract_z
Er1 Er 0.0274 0.0000 0.2501
Er2 Er 0.0912 0.5000 0.1102
Er3 Er 0.0907 0.5000 0.3899
Er4 Er 0.1369 0.0000 0.5361
Er5 Er 0.1367 0.0000 0.9639
Er6 Er 0.1820 0.5000 0.8244
Er7 Er 0.1827 0.5000 0.6758
Zn1 Zn 0.2010 0.5000 0.2496
S1 S 0.0000 0.5000 0.0000
S2 S 0.0000 0.5000 0.5000
S3 S 0.0472 0.0000 0.6406
S4 S 0.0467 0.0000 0.8594
S5 S 0.2262 0.0000 0.0705
S6 S 0.2260 0.0000 0.4295
```

For ErZrS4, DFT lattice parameters and positions (PBE) gives the computed PXRD pattern in this record (copper Kα).

Peak list (10 most intense, 15° ≤ 2θ ≤ 90°, by intensity)
| 2θ/deg | I/Imax |
| --- | --- |
| 27.10 | 100 |
| 20.01 | 86 |
| 20.23 | 78 |
| 39.69 | 69 |
| 39.93 | 59 |
| 49.75 | 50 |
| 30.79 | 30 |
- - -
Outcome =
S1 S 0.0000 0.0000 0.3918
```

For Y3Er2S4, DFT lattice parameters and positions (PBE) gives the computed PXRD pattern in this record (copper Kα).

Peak list (10 most intense, 15° ≤ 2θ ≤ 90°, by intensity)
| 2θ/deg | I/Imax |
| --- | --- |
| 31.75 | 100 |
| 29.08 | 40 |
| 47.29 | 37 |
| 78.05 | 29 |
| 58.08 | 23 |
| 43.68 | 22 |
| 28.09 | 20 |
| 55.91 | 19 |
| 27.37 | 18 |
| 48.55 | 17 |

Structural model:
```
data_Y3Er2S4
_space_group_name_H-M_alt 'P -3 m 1'
_space_group_IT_number 164
_space_group_name_Hall '-P 3 2"'
_cell_length_a 3.8444
_cell_length_b 3.8444
_cell_length_c 15.8844
_cell_angle_alpha 90.00
_cell_angle_beta 90.00
_cell_angle_gamma 120.00
loop_
_atom_site_label
_atom_site_type_symbol
_atom_site_fract_x
_atom_site_fract_y
_atom_site_fract_z
Y1 Y 0.0000 0.0000 0.0000
Y2 Y 0.3333 0.6667 0.5906
Er1 Er 0.3333 0.6667 0.2052
S1 S 0.0000 0.0000 0.3034
S2 S 0.3333 0.6667 0.8957
```

For Er7ZnS5, DFT lattice parameters and positions (PBE) gives the computed PXRD pattern in this record (copper Kα).

Peak list (10 most intense, 15° ≤ 2θ ≤ 90°, by intensity)
| 2θ/deg | I/Imax |
| --- | --- |
| 32.27 | 100 |
| 47.04 | 86 |
| 33.44 | 66 |
| 28.65 | 64 |
| 30.43 | 58 |
| 30.45 | 57 |
| 57.07 | 39 |
| 30.95 | 29 |
| 28.28 | 29 |
| 46.25 | 27 |

Structural model:
```
data_Er7ZnS5
_space_group_name_H-M_alt 'C 1 2/m 1'
_space_group_IT_number 12
_space_group_name_Hall '-C 2y'
_cell_length_a 12.7400
_cell_length_b 3.8631
_cell_length_c 23.1619
_cell_angle_alpha 90.00
_cell_angle_beta 90.04
_cell_angle_gamma 90.00
loop_
_atom_site_label
_atom_site_type_symbol
_atom_site_fract_x
_atom_site_fract_y
_atom_site_fract_z
Er1 Er 0.0274 0.0000 0.2501
Er2 Er 0.0912 0.5000 0.1102
Er3 Er 0.0907 0.5000 0.3899
Er4 Er 0.1369 0.0000 0.5361
Er5 Er 0.1367 0.0000 0.9639
Er6 Er 0.1820 0.5000 0.8244
Er7 Er 0.1827 0.5000 0.6758
Zn1 Zn 0.2010 0.5000 0.2496
S1 S 0.0000 0.5000 0.0000
S2 S 0.0000 0.5000 0.5000
S3 S 0.0472 0.0000 0.6406
S4 S 0.0467 0.0000 0.8594
S5 S 0.2262 0.0000 0.0705
S6 S 0.2260 0.0000 0.4295
```

For ErZrS4, DFT lattice parameters and positions (PBE) gives the computed PXRD pattern in this record (copper Kα).

Peak list (10 most intense, 15° ≤ 2θ ≤ 90°, by intensity)
| 2θ/deg | I/Imax |
| --- | --- |
| 27.10 | 100 |
| 20.01 | 86 |
| 20.23 | 78 |
| 39.69 | 69 |
| 39.93 | 59 |
| 49.75 | 50 |
| 30.79 | 30 |